It is unity amongst the working class that can keep the far right at bay
Fascists in the AfD have put major effort into trying to translate their electoral support into gaining a presence inside the organised working class in Germany. That is all the better to disorganise it along nativist and racist lines that serve the bosses.
For the neonazi wing it is an important strategic objective. They aim to show that they can reach parts that the racist centre right cannot and can be a direct instrument in breaking working class organisation. That is a critical objective for real fascism, as opposed simply to varieties of racist populism, in its aim to offer itself in the future as a uniquely valuable force for the elites.
These, however, are the results for the elections to the works councils across the Daimler combine. The councils are official bodies elected by workers and staff in which unions and others can put up candidates. They have been a central tripartite mechanism – union, bosses, state – of the German method of incorporating labour through controlled expression of worker representation.
– Wörth / Germersheim
IG Metall has emerged stronger with 24 out of 39 places. No place won by the AfD’s front “the Centre”.
# Materials data from another source follow
~~~
[1]
The following is a theoretical XRD peak list of CdBiS2I. It was derived from DFT lattice parameters and positions (PBE), using copper Kα.
No peak broadening, texture or thermal motion is included.

Cell and atoms:
a = 7.8826 Å, b = 4.2562 Å, c = 11.1086 Å
α = 90.00°, β = 108.07°, γ = 90.00°
Space group P2_1/m (No. 11)
Inequivalent atoms, fractional coordinates:
Cd 0.0065 0.2500 0.1400 [2 per cell]
Bi 0.4664 0.7500 0.3355 [2 per cell]
S 0.1698 0.7500 0.1149 [2 per cell]
S 0.3073 0.2500 0.4074 [2 per cell]
I 0.2401 0.7500 0.7185 [2 per cell]

Peak list (10 most intense, 15 to 90 degrees two-theta, in order of falling intensity)
2theta, d [Å], intensity, index
32.40, 2.763, 100, 2 1 -2
16.49, 5.375, 91, 1 0 1
24.23, 3.673, 80, 1 1 -1
31.24, 2.863, 74, 1 0 3
16.79, 5.280, 70, 0 0 2
26.72, 3.337, 62, 1 1 1
46.11, 1.969, 50, 1 1 -5
27.22, 3.276, 44, 1 1 -2
42.48, 2.128, 37, 0 2 0
39.66, 2.272, 37, 2 1 2

***

[2]
The following is a theoretical XRD peak list of Li3In2Hg5. It was derived from DFT lattice parameters and positions (PBE), using copper Kα.
No peak broadening, texture or thermal motion is included.

Cell and atoms:
a = 10.2442 Å, b = 13.5393 Å, c = 6.4793 Å
α = 90.00°, β = 98.91°, γ = 90.00°
Space group C2/c (No. 15)
Inequivalent atoms, fractional coordinates:
Li 0.0000 0.0292 0.2500 [4 per cell]
Li 0.1443 0.3606 0.5959 [8 per cell]
In 0.1334 0.2671 0.1380 [8 per cell]
Hg 0.0000 0.4764 0.2500 [4 per cell]
Hg 0.1066 0.1555 0.5870 [8 per cell]
Hg 0.2227 0.0490 0.0373 [8 per cell]

Peak list (10 most intense, 15 to 90 degrees two-theta, in order of falling intensity)
2theta, d [Å], intensity, index
37.67, 2.388, 100, 1 5 1
33.45, 2.679, 67, 2 2 -2
28.69, 3.111, 65, 1 1 -2
35.43, 2.534, 60, 2 0 2
37.96, 2.370, 52, 4 2 0
21.56, 4.122, 46, 1 3 0
34.39, 2.608, 39, 3 3 -1
27.24, 3.273, 36, 3 1 0
33.68, 2.661, 35, 2 4 -1
27.47, 3.247, 29, 2 2 1

***

[3]
The following is a theoretical XRD peak list of Ce3CoBr3. It was derived from DFT lattice parameters and positions (PBE), using copper Kα.
No peak broadening, texture or thermal motion is included.

Cell and atoms:
a = 8.6721 Å, b = 4.2195 Å, c = 11.3453 Å
α = 90.00°, β = 91.90°, γ = 90.00°
Space group P2_1/m (No. 11)
Inequivalent atoms, fractional coordinates:
Ce 0.1015 0.2500 0.4009 [2 per cell]
Ce 0.1216 0.2500 0.8340 [2 per cell]
Ce 0.3451 0.7500 0.6138 [2 per cell]
Co 0.1233 0.2500 0.6219 [2 per cell]
Br 0.1250 0.2500 0.1185 [2 per cell]
Br 0.3662 0.7500 0.8797 [2 per cell]
Br 0.3811 0.7500 0.3468 [2 per cell]

Peak list (10 most intense, 15 to 90 degrees two-theta, in order of falling intensity)
2theta, d [Å], intensity, index
29.55, 3.023, 100, 2 1 0
31.56, 2.835, 30, 0 0 4
44.31, 2.044, 26, 2 1 4
43.24, 2.092, 23, 2 1 -4
42.87, 2.110, 19, 0 2 0
61.32, 1.512, 17, 4 2 0
41.68, 2.167, 17, 4 0 0
31.78, 2.816, 17, 0 1 3
54.20, 1.692, 13, 0 2 4
30.84, 2.899, 10, 2 0 -3

***

[4]
~~~
– Mercedes Benz, Untertürkheim plant
Turnout was relatively high at almost 65 percent. The IG Metall list has provisionally 37 seats out of the 47. The “Centre” has gained 2 mandates and thus has 6 mandates (13.2 percent).
– Sindelfingen, the largest site with over 40,000 eligible voters
57.5 percent of the employees participated in the works council election. According to the provisional result, IG Metall received almost 75 percent (16,992 votes) and thus has 46 of the 59 works council seats. The “Centre” received 764 votes, which corresponds to 3.4 percent and 2 mandates .
– Daimler headquarters in Stuttgart.
From 6626 votes cast, the Centre has received, according to preliminary results, just 108 votes and thus remains without a mandate. The various independent and Christian lists have received fewer votes than at the last elections in 2014. The winner is the IG Metall. It was able to gain 4 mandates. With 22 mandates, it now has an absolute majority in the 41-member body.
– Mercedes Benz, Rastatt.
According to preliminary results, 29 IG Metall members have been elected to the 35-member works council via various lists. The Christian Metal Union (CGM) got no seat. The “Center” ran for the first time, got 447 votes and moved to 3 mandates in the 35-member works council.
AfD figures had predicted sweeping gains, claiming that they would reap a feeling against vested interests, such as the established IG Metall union. But with the exception of the Untertürkheim plant these are very poor results – far lower than the average vote of the AfD in last September’s general election and even among “workers” as an atomised electoral and demographic category, as opposed to considered from their place of work.
This is of enormous strategic importance, and not only in Germany.
It confirms a pattern seen repeatedly throughout different epochs of the last century. Even when the far or fascist right can make frightening advances electorally among the population as a whole, it has the greatest of difficulties in penetrating the workplace and organised labour.
The Nazis were able to conquer the workplace and worker organisation in the 1930s only after being given state power, abolishing the unions and introducing an alternative fascist corporation supposedly representing workers and employers together. Even then, that fascist body ended up repeatedly expressing worker discontent and opposition to regime policies.
As the historian Tim Mason highlighted, the Nazis allied with the state could destroy working class organisation, but they could never win their dreamed of incorporation of the working class into a racist dystopia.
The reason for the rejection of the AfD is not *primarily* because of the politics of the unions concerned. That is important. There are strongly anti-racist activists and officials of IG Metall. But at the same time it has its fair share, as does any large union, of routinist bureaucratism and accommodation to prevailing reactionary ideas.
Primarily, however, this barrier to the far right – and potential battalion that can shift the society as a whole – arises from the everyday conditions of the world of work and of the existence of union organisation.
## The article is interrupted by records of crystals
********
This entry pairs a crystal structure of As2PbXe3F18 with its computed XRD peak list. Radiation: Cu Kα (λ = 1.5418 Å). Structure: a structure optimized by DFT (GGA-PBE).
Lines closer than 0.1° are merged.

Principal peaks in the range 2θ from 10° to 90°, in order of rising 2θ:
| d (Å) | 2θ/deg | I_rel |
| --- | --- | --- |
| 6.614 | 13.4 | 17 |
| 3.976 | 22.4 | 100 |
| 3.737 | 23.8 | 36 |
| 3.672 | 24.2 | 77 |
| 3.158 | 28.3 | 36 |
| 3.113 | 28.7 | 22 |
| 2.141 | 42.2 | 17 |
| 1.947 | 46.7 | 23 |

```
48
Lattice="6.2836 -6.3168 0.0000 6.2836 6.3168 0.0000 -1.7051 0.0000 11.2097" Properties=species:S:1:pos:R:3 pbc="T T T"
As 2.2893 3.1584 5.6049
As 2.3403 0.0000 1.1394
As 2.2893 -3.1584 5.6049
As 8.5219 0.0000 10.0703
Pb 2.2712 0.0000 8.7277
Pb 8.5910 0.0000 2.4820
Xe -0.8525 0.0000 5.6049
Xe 5.3012 3.0244 1.8400
Xe 5.5609 3.0244 9.3697
Xe 5.4311 0.0000 5.6049
Xe 5.3012 -3.0244 1.8400
Xe 5.5609 -3.0244 9.3697
F 0.9781 2.1180 9.1301
F 3.1738 3.8538 6.9602
F 2.3632 1.7688 1.0991
F -0.0158 0.0000 7.5102
F 0.8779 0.0000 2.1064
F -0.2665 0.0000 10.8200
F 3.8260 2.8342 4.7900
F 2.3652 1.5353 6.3887
F 3.8764 1.8157 9.6773
F 3.3802 0.0000 2.5633
F 3.8698 0.0000 0.1071
F 2.3632 -1.7688 1.0991
F 0.9781 -2.1180 9.1301
F 7.6884 3.8538 4.2495
F 2.3652 -1.5353 6.3887
F 7.0361 2.8342 6.4197
F 6.9857 1.8157 1.5324
F 4.6447 0.0000 7.5398
F 6.2174 0.0000 3.6699
F 3.8764 -1.8157 9.6773
F 3.8260 -2.8342 4.7900
F 8.4969 1.5353 4.8210
F 3.1738 -3.8538 6.9602
F 9.8841 2.1180 2.0796
F 8.4990 1.7688 10.1106
F 6.9923 0.0000 11.1026
F 7.4819 0.0000 8.6465
F 6.9857 -1.8157 1.5324
F 8.4969 -1.5353 4.8210
F 7.0361 -2.8342 6.4197
F 11.1286 0.0000 0.3897
F 9.9843 0.0000 9.1033
F 10.8780 0.0000 3.6995
F 8.4990 -1.7688 10.1106
F 7.6884 -3.8538 4.2495
F 9.8841 -2.1180 2.0796
```

This entry pairs a crystal structure of Pr2ZnGa with its computed XRD peak list. Radiation: Cu Kα (λ = 1.5418 Å). Structure: a structure optimized by DFT (GGA-PBE).
Lines closer than 0.1° are merged.

Principal peaks in the range 2θ from 10° to 90°, in order of rising 2θ:
| d (Å) | 2θ/deg | I_rel |
| --- | --- | --- |
| 3.724 | 23.9 | 13 |
| 2.633 | 34.0 | 100 |
| 2.150 | 42.0 | 4 |
| 1.862 | 48.9 | 18 |
| 1.665 | 55.1 | 5 |
| 1.520 | 60.9 | 36 |
| 1.317 | 71.7 | 11 |
| 1.178 | 81.8 | 16 |

```
4
Lattice="0.0000 3.7240 3.7240 3.7240 0.0000 3.7240 3.7240 3.7240 0.0000" Properties=species:S:1:pos:R:3 pbc="T T T"
Pr 1.8620 1.8620 1.8620
Pr 5.5861 5.5861 5.5861
Zn 0.0000 0.0000 0.0000
Ga 3.7240 3.7240 3.7240
```

This entry pairs a crystal structure of Ca3Cr2N6 with its computed XRD peak list. Radiation: Cu Kα (λ = 1.5418 Å). Structure: a structure optimized by DFT (GGA-PBE).
Lines closer than 0.1° are merged.

Principal peaks in the range 2θ from 10° to 90°, in order of rising 2θ:
| d (Å) | 2θ/deg | I_rel |
| --- | --- | --- |
| 5.343 | 16.6 | 57 |
| 3.980 | 22.3 | 100 |
| 3.661 | 24.3 | 72 |
| 3.532 | 25.2 | 93 |
| 2.938 | 30.4 | 90 |
| 2.531 | 35.5 | 90 |
| 2.453 | 36.6 | 99 |
| 2.015 | 45.0 | 36 |

```
11
********
That depends on the most basic notions of collectivity. It means that ideas and political forces that break that unity – divisions on any basis: race, sex, grade, age, sexuality, type of contract, immigration status, marital status, etc – are like a fatal poison.
That does not mean that the poison is automatically and fully purged from the collective body. But it does mean that there is an immune system that may be strengthened and a potential collective bastion that can project a militant collective politics within and beyond the workplace and the union.
And thus it follows that despite the weakness overall of the AfD’s intervention into these big workplace elections, its toehold must not be dismissed, but smashed. That is obviously the case in the plant where the fascists got over 13 percent and which also, IG Metall activists report, has the weakest shopfloor organisation and trade union consciousness among the workforce.
There are moves to do this on two fronts. Anticipating the incoming grand coalition scores of left and militant union representatives made an initiative last month repudiating the line of the DGB union federation endorsing the deal between the SPD and Merkel.
They laid out red lines with union interests and policy on one side and the pro-business coalition deal on the other. It was in preparation for conflicts with the coalition government. Importantly, one area of dispute they highlighted was over the shameful abandonment of the rights of refugees by the SPD.
They put forward a position of defence of refugee rights, opposing xenophobia, refusing the siren voices against migrants, and for an end to an expansionist and militarist foreign policy. The initiative unites supporters of the SPD, Die Linke and those of no party affiliation.
The second front is the gathering, mass social movement against the AfD. It has made a point of strategically fighting to unite the forces of the left and workers movement, with immigrant and migrant communities, and aiming particularly to draw in the latent strength of the trade union movement.
This has also been the experience of Greece, where one aspect of that – as was also the case in Britain in the 1970s – is the popular slogan: fascists out of the unions.
And this does have relevance to debates on the radical left in Britain today. That is despite considerable political differences with situation in Germany. Britain does not have a grand coalition. It has a weak minority Tory government and a Labour opposition that has recovered massively through a surge of the left. It doesn’t have either a significant far-right party.
But in its own circumstances, the movement in Britain faces a similar strategic question about how the surge of the left can translate into unlocking the hidden power of organised workers, or of workers yet to be organised at the place of work.
Here, it has been a little dispiriting – perhaps even shocking – to see an internal argument inside the Labour left turn into egregious statements either admonishing trade union organisation, or saying that the advance of the left will come through weakening the unions in politics.
That is to turn reality on its head. The fundamental basis, the wellspring, of the left and of socialist advance is the collective organisation of the working class. It was the fusion of the socialist idea with the semi-spontaneous efforts of working people to organise themselves over 170 years ago that forged what is still the modern socialist movement.
Sure, all unions since then have shown the problem of bureaucratism and through that the incorporation of working-class interests within the confines of capitalism.
But that is equally, if not more so, characteristic of the parties of the centre-left that the unions either gave birth to or have looked to for political change.
It’s true of the British Labour Party, with its peculiar amalgam of differing centres of power – the affiliated unions, the MPs and party bureaucracy, and the members.
The problem is political, not constitutional, and it is not solved by internal constitutional battles. The SPD in Germany does not have the structure of union affiliation that the Labour Party uniquely has. But in a one member, one vote referendum it has just voted suicidally by two to one to go into a coalition that will feed the far right and be in confrontation with the trade union movement and workers.
There is a difference between the unions and the centre-left parties. The unions are by their very nature closer to the basic antagonism in society, even if there are conflicting strands within them over what to do about it. They provide, or can, the most basic level of class organisation through the *experience* of their members.
This is why the condemnation of the unions and their role by some figures on a part of the Labour left is so totally misguided.
It’s not to do with voting rights and the allocation of bureaucratic positions – whatever weight one puts on those. It is profoundly wrong because it is, out of an internal spat, castigating the very mechanism that for all its imperfections is the seedbed of progress and countering reaction. That is the basic organisation of the working class – for evidence, look to the works council elections in Daimler.
There is another way. It has been voiced by Jeremy Corbyn and John McDonnell, as well as by socialists and trade union activists in and outside the Labour Party.
It is to put central to this moment of radicalisation the aspiration to double trade union membership. To extend it beyond residual organisation in certain sectors into new ones.
To revivify it in the areas it already exists (as the strike in the old universities is showing strongly). To fuse again the great internationalist principles of the left with the raw intelligence and potential power of the combination of working people.
And it is to find the fresh, living ways in which that organisation can mesh with all other sites of struggle against exploitation and oppression – from the women on hunger strike in Yarl’s Wood to the mosque congregations organising to fill the murderous gap for the homeless left by a decade of austerity.
There is the most enormous crisis of the elite way of running things that has dominated for over 30 years.
There is massive popular anger and alienation – look at the Italian election results.
An inward-looking and petty left will not rise to that. It will fail and deserves to.
(Misplaced crystal structures)
____________
This entry pairs a crystal structure of La2Pm4Th3 with its simulated powder diffraction line list. Radiation: CuKα. Structure: a cell relaxed with GGA-PBE.
Kinematic intensities with the Lorentz-polarization factor, no thermal factor.

Structural model:
```
La2Pm4Th3
1.0
3.609 0.000 0.000
-1.805 3.126 0.000
0.000 0.000 27.383
La Pm Th
2 4 3
direct
0.000 0.000 0.000 La
0.000 0.000 0.217 La
0.000 0.000 0.344 Pm
0.000 0.000 0.558 Pm
0.333 0.667 0.670 Pm
0.333 0.667 0.884 Pm
0.000 0.000 0.777 Th
0.333 0.667 0.109 Th
0.333 0.667 0.449 Th
```

Top 6 peaks for 10 to 80 degrees two-theta, low angle first:
two_theta  intensity  index
28.56  46  1 0 0
29.35  65  0 0 9
31.46  70  0 1 4
33.00  100  1 0 5
50.58  38  1 1 0
59.56  46  1 1 9

=====

(1)
LiLaBi3: simulated powder diffraction line list (Cu Kα X-rays), based on a DFT-relaxed cell (PBE, Alexandria).

Largest 10 diffraction maxima, by angle, 10 to 80 degrees two-theta:
two_theta, intensity
25.18, 261
27.09, 317
27.65, 384
29.78, 433
30.73, 1000
31.63, 288
33.03, 401
39.73, 457
47.16, 355
64.76, 270

Atomic structure:
```
LiLaBi3
1.0
14.1443 0.0000 0.0000
0.0000 6.3842 0.0000
0.0000 0.0000 6.6263
Li La Bi
4 4 12
Direct
0.1087 0.2500 0.0000 Li
0.1087 0.2500 0.5000 Li
0.8913 0.7500 0.0000 Li
0.8913 0.7500 0.5000 Li
0.3123 0.5111 0.2500 La
0.3123 0.9889 0.7500 La
0.6877 0.0111 0.2500 La
0.6877 0.4889 0.7500 La
0.0744 0.7058 0.2500 Bi
0.0744 0.7942 0.7500 Bi
0.2506 0.0054 0.2500 Bi
0.2506 0.4946 0.7500 Bi
0.4960 0.2500 0.0000 Bi
0.4960 0.2500 0.5000 Bi
0.5040 0.7500 0.0000 Bi
0.5040 0.7500 0.5000 Bi
0.7494 0.5054 0.2500 Bi
0.7494 0.9946 0.7500 Bi
0.9256 0.2058 0.2500 Bi
0.9256 0.2942 0.7500 Bi
```

(2)
Dy2MnZn12Cu3: simulated powder diffraction line list (Cu Kα X-rays), based on a DFT-relaxed cell (PBE, Alexandria).

Largest 10 diffraction maxima, by angle, 10 to 80 degrees two-theta:
two_theta, intensity
31.22, 568
33.30, 323
33.56, 570
36.06, 292
39.28, 713
39.93, 398
43.13, 1000
45.83, 208
57.08, 201
68.51, 380

Atomic structure:
```
Dy2MnZn12Cu3
1.0
2.7390 1.5814 11.9801
-2.7390 1.5814 11.9801
0.0000 -3.1628 11.9801
Dy Mn Zn Cu
2 1 12 3
Direct
0.1447 0.1447 0.1447 Dy
0.8553 0.8553 0.8553 Dy
0.5000 0.5000 0.5000 Mn
0.1055 0.1055 0.6297 Zn
0.1055 0.6297 0.1055 Zn
0.1119 0.6109 0.6109 Zn
0.3703 0.8945 0.8945 Zn
0.3891 0.3891 0.8881 Zn
0.3891 0.8881 0.3891 Zn
0.6109 0.1119 0.6109 Zn
0.6109 0.6109 0.1119 Zn
0.6297 0.1055 0.1055 Zn
0.8881 0.3891 0.3891 Zn
0.8945 0.3703 0.8945 Zn
0.8945 0.8945 0.3703 Zn
0.0000 0.5000 0.5000 Cu
0.5000 0.0000 0.5000 Cu
0.5000 0.5000 0.0000 Cu
```

(3)
Na2CdSbO4: simulated powder diffraction line list (Cu Kα X-rays), based on a DFT-relaxed cell (PBE, Alexandria).

Largest 10 diffraction maxima, by angle, 10 to 80 degrees two-theta:
two_theta, intensity
16.07, 1000
30.99, 159
31.09, 322
32.47, 848
37.56, 337
37.73, 676
54.29, 415
54.42, 209
64.82, 260
67.98, 145

Atomic structure:
```
Na2CdSbO4
1.0
5.8529 -3.3720 0.0000
5.8529 3.3720 0.0000
-3.8761 0.0000 5.5192
Na Cd Sb O
____________
A left that can concert its efforts to help millions at the base of society organise themselves and in so doing shift things in a truly radical direction can contribute to resolving this social, environmental and human crisis.
But that means a turn towards the millions, and their good sense and basic collectivity that is shown in these elections at the heart of German industrial capitalism.